Distal Petechiae After Tourniquet Use
A 10-month-old girl with a history of failure to thrive, hypotonia, hip dysplasia, and developmental delay was admitted to the pediatrics department with ecchymosis of the left arm after having had a tourniquet applied.
Earlier that day, the patient had been seen by a geneticist at an outpatient genetics clinic. During that visit, nursing staff had placed an appropriately sized blood pressure cuff on her left arm above the elbow, with no pain expressed by the patient. Her blood pressure was noted as being in the normal range, and the cuff was removed.
A light blue line (presumed to have been bruising) was noted at the site of the cuff after removal.
She then was sent to a laboratory for blood work, where she had a tourniquet applied at the same site. Upon removal of the tourniquet, she had developed a sharply demarcated petechial rash on the left arm, below the site of the tourniquet, extending to the hand.
What is this sign, and what does it usually indicate?
(Answer and discussion on next page)
Answer: The Rumpel-Leede sign, which usually indicates capillary fragility.
The demarcated bruising and distal petechiae seen after tourniquet use are known as the Rumpel-Leede sign or phenomenon, caused by acute dermal capillary rupture.
After the development of the petechiae in the genetics clinic and again at the laboratory, the geneticist reevaluated the patient and noted equal distal pulses and referred the patient to the emergency department for further evaluation, leading to admission for observation.
~~~
# CaTl2MoF6
Simulated X-ray powder pattern, Cu Ka. Input: the GGA+U geometry in Alexandria.

Peak list (8 most intense, 2θ from 15° to 90°, sorted by position)
2θ (°), intensity
19.91, 218
26.77, 303
28.48, 1000
29.77, 233
40.46, 345
48.35, 241
52.04, 195
58.95, 197

Structure:
```
CaTl2MoF6
1.0
-3.002 3.330 4.404
3.002 -3.330 4.404
3.002 3.330 -4.404
Ca Tl Mo F
1 2 1 6
Cartesian
0.000 0.000 0.000 Ca
3.002 0.000 2.337 Tl
0.000 3.330 2.067 Tl
0.000 0.000 4.404 Mo
1.610 1.586 0.000 F
4.393 1.586 0.000 F
0.000 0.000 2.258 F
0.000 0.000 6.551 F
-1.391 1.744 4.404 F
1.391 1.744 4.404 F
```

=====

# 1
Computed powder XRD pattern of Li5SbO4 for CuKα, from DFT lattice parameters and positions (GGA-PBE).

Structural model:
a = 5.0817 Å, b = 6.0143 Å, c = 7.8424 Å
α = 90.00°, β = 102.27°, γ = 90.00°
Element x y z (fractional)
1 Li 0.1680 0.2500 0.2114
2 Li 0.2600 0.0126 0.5337
3 Li 0.2600 0.4874 0.5337
4 Li 0.3293 0.5153 0.8899
5 Li 0.3293 0.9847 0.8899
6 Li 0.6707 0.0153 0.1101
7 Li 0.6707 0.4847 0.1101
8 Li 0.7400 0.5126 0.4663
9 Li 0.7400 0.9874 0.4663
10 Li 0.8320 0.7500 0.7886
11 Sb 0.1721 0.7500 0.2181
12 Sb 0.8279 0.2500 0.7819
13 O 0.0174 0.5030 0.6995
14 O 0.0174 0.9970 0.6995
15 O 0.3956 0.2500 0.0476
16 O 0.4587 0.7500 0.4390
17 O 0.5413 0.2500 0.5610
18 O 0.6044 0.7500 0.9524
19 O 0.9826 0.0031 0.3005
20 O 0.9826 0.4970 0.3005

Most intense lines, 15° ≤ 2θ ≤ 90°, sorted by position:
2θ/deg  d_spacing  I/Imax
18.8  4.731  100
19.1  4.642  38
23.2  3.830  69
23.3  3.814  24
30.2  2.962  48
35.6  2.524  39

# 2
Computed powder XRD pattern of Li5SbO4 for CuKα, from DFT lattice parameters and positions (GGA-PBE).

Structural model:
a = 6.2787 Å, b = 7.8466 Å, c = 4.6730 Å
α = 90.00°, β = 90.00°, γ = 90.00°
Element x y z (fractional)
1 Li 0.0066 0.0727 0.2409
2 Li 0.0066 0.4273 0.2409
3 Li 0.2500 0.7500 0.2132
4 Li 0.4934 0.0727 0.2409
5 Li 0.4934 0.4273 0.2409
6 Li 0.5066 0.5727 0.7591
7 Li 0.5066 0.9273 0.7591
8 Li 0.7500 0.2500 0.7868
9 Li 0.9934 0.5727 0.7591
10 Li 0.9934 0.9273 0.7591
11 Sb 0.2500 0.2500 0.8288
12 Sb 0.7500 0.7500 0.1712
13 O 0.0159 0.2500 0.5423
14 O 0.2500 0.5270 0.9743
15 O 0.2500 0.9730 0.9743
16 O 0.4841 0.2500 0.5423
17 O 0.5159 0.7500 0.4577
18 O 0.7500 0.0270 0.0257
19 O 0.7500 0.4730 0.0257
20 O 0.9841 0.7500 0.4577

Most intense lines, 15° ≤ 2θ ≤ 90°, sorted by position:
2θ/deg  d_spacing  I/Imax
18.1  4.902  100
22.1  4.015  59
22.7  3.923  30
23.7  3.749  47
33.1  2.710  33
36.3  2.473  33

# 3
Computed powder XRD pattern of LiSbO3 for CuKα, from DFT lattice parameters and positions (GGA-PBE).

Structural model:
a = 6.0221 Å, b = 6.0221 Å, c = 6.0221 Å
α = 90.00°, β = 90.00°, γ = 90.00°
Element x y z (fractional)
1 Li 0.1273 0.3727 0.6273
2 Li 0.3727 0.6273 0.1273
3 Li 0.6273 0.1273 0.3727
4 Li 0.8727 0.8727 0.8727
5 Sb 0.0926 0.9074 0.4074
6 Sb 0.4074 0.0926 0.9074
7 Sb 0.5926 0.5926 0.5926
8 Sb 0.9074 0.4074 0.0926
9 O 0.0156 0.7225 0.1378
10 O 0.1378 0.0156 0.7225
11 O 0.2225 0.3622 0.9844
~~~
## The calculated crystals stop here
Laboratory test results demonstrated a normal prothrombin time of 9.7 seconds, a normal partial thromboplastin time of 25 seconds, and a platelet count of 247 × 103/µL. The vitamin C level also was within normal limits.
Upper extremity duplex ultrasonography showed no evidence of deep venous thrombosis. Additional laboratory test results demonstrated the presence of one copy of plasminogen activator inhibitor-1 (SERPINE-1, also called PAI-1) 4G and 5G gene alleles, as well as one copy of the variant human platelet antigen 1 (HPSE) allele, which confer an increased risk of thromboembolism. However, the patient had no thrombi during the course of her illness.
The patient’s history, physical examination findings after blood pressure cuff and tourniquet use, and laboratory test findings were consistent with a diagnosis of capillary fragility syndrome. After overnight observation, the patient was discharged home with instructions for primary care physician follow-up the next day. The petechiae resolved completely over the next 7 days.
Scant literature exists noting the Rumpel-Leede sign as an indicator of capillary fragility in the pediatric population. There have been published reports of adults developing a Rumpel-Leede sign in the presence of erythema multiforme,1 idiopathic thrombocytopenia,2 dengue fever,3 and other coagulopathies. Our patient was otherwise well and had only localized symptoms where pressure was applied externally, making a diagnosis of any of these systemic diseases unlikely.
The only noted reports of capillary leak when hematologic studies have shown normal clotting factors, platelet aggregation, and bleeding time are in patients diagnosed with Ehlers-Danlos syndrome,4 a connective tissue disorder for which our patient had not been tested previously.
1. Gross AS, Holloway RJ, Fine RM. The Rumpel-Leede sign associated with drug-induced erythema multiforme. J Am Acad Dermatol. 1992;27(5 pt 1):781-782.
2. Chester MW, Barwise JA, Holzman MD, Pandharipande P. Acute dermal capillary rupture associated with noninvasive blood pressure monitoring. J Clin Anesth. 2007;19(6):473-475.
3. Mayxay M, Phetsouvanh R, Moore CE, et al. Predictive diagnostic value of the tourniquet test for the diagnosis of dengue infection in adults. Trop Med Int Health. 2011;16(1):127-133.
4. De Paepe A, Malfait F. Bleeding and bruising in patients with Ehlers-Danlos syndrome and other collagen vascular disorders. Br J Haematol. 2004;127(5):491-500.
Dr Campbell is a resident and Drs DeLeon and Williams are assistant clinical professors, all in the Department of Pediatrics at the University of Oklahoma Health Sciences Center in Oklahoma City.
KIRK BARBER, MD, FRCPC––Series Editor: Dr Barber is a consultant dermatologist at Alberta Children’s Hospital and clinical associate professor of medicine and community health sciences at the University of Calgary in Alberta.